Attention Deficit (Hyperactivity) Disorder (ADD/ADHD) is a neurological and behavioral disorder most often diagnosed during childhood, but often continuing through adulthood. Individuals with ADHD often have difficulty staying focused and paying attention, have problems with controlling behavior, and experience hyperactivity. ADHD can manifest differently in different individuals, with some being predominantly hyperactive or impulsive, some being primarily inattentive, and others showing a combination of both types.

Linking ADHD to executive function

The ADHD symptoms associated with inattention are closely linked to difficulties with executive functions. Staying focused with ADHD is something many students find challenging, in addition to having difficulty with organization, work completion, processing speed, and following directions. In addition, students with hyperactivity or impulsivity can have difficulty sitting still for activities which require consistent focus and may be impatient to complete tasks without thinking them through.

_Between two parts of the entry: crystal structures_
+++
## YHo2Th (GGA-PBE)

Data for YHo2Th after structural relaxation.

Calculated values
The value obtained for the total energy is -22.44 eV per formula unit. The value obtained for the total magnetization is 0.01 μB/cell. As for the mass density: 8.429 g/cm³.

Cell lengths 8.0044, 8.0044, 8.0044 Å; angles 90.00, 90.00, 90.00 degrees
Space group Fm-3m (No. 225)
Inequivalent atoms, fractional coordinates:
Y 0.0000 0.0000 0.0000 (multiplicity 4)
Ho 0.2500 0.2500 0.2500 (multiplicity 8)
Th 0.0000 0.0000 0.5000 (multiplicity 4)

***

## Y6Ho3Th (GGA-PBE)

Data for Y6Ho3Th after structural relaxation.

Calculated values
The value obtained for the total energy is -58.31 eV per formula unit. The value obtained for the total magnetization is 0.00 μB/cell. As for the mass density: 6.379 g/cm³.

Cell lengths 11.0933, 18.8567, 6.2733 Å; angles 90.00, 90.00, 90.00 degrees
Space group Cmc2_1 (No. 36)
Inequivalent atoms, fractional coordinates:
Y 0.0000 0.0466 0.0000 (multiplicity 4)
Y 0.0000 0.2735 0.7509 (multiplicity 4)
Y 0.1635 0.4559 0.6411 (multiplicity 8)
Y 0.2455 0.2911 0.4703 (multiplicity 8)
Ho 0.0000 0.3876 0.1713 (multiplicity 4)
Ho 0.1729 0.1107 0.5560 (multiplicity 8)
Th 0.0000 0.2052 0.2507 (multiplicity 4)

***

## Y3Ho5Th (GGA-PBE)

Data for Y3Ho5Th after structural relaxation.

Calculated values
The value obtained for the total energy is -49.10 eV per formula unit. The value obtained for the total magnetization is 0.00 μB/cell. As for the mass density: 7.755 g/cm³.

Cell lengths 9.7034, 9.7034, 6.9502 Å; angles 90.00, 90.00, 120.00 degrees
Space group P6_3/mcm (No. 193)
Inequivalent atoms, fractional coordinates:
Y 0.0000 0.3333 0.2500 (multiplicity 6)
Ho 0.0000 0.3330 0.7500 (multiplicity 6)
Ho 0.3333 0.6667 0.0000 (multiplicity 4)
Th 0.0000 0.0000 0.0000 (multiplicity 2)

***

## Y2Ho5Th3 (GGA-PBE)

Data for Y2Ho5Th3 after structural relaxation.

Calculated values
The value obtained for the total energy is -57.72 eV per formula unit. The value obtained for the total magnetization is 0.00 μB/cell. As for the mass density: 8.894 g/cm³.

Cell lengths 11.2002, 5.0285, 11.2622 Å; angles 90.00, 90.50, 90.00 degrees
Space group C2/m (No. 12)
Inequivalent atoms, fractional coordinates:
Y 0.0980 0.0000 0.2985 (multiplicity 4)
Ho 0.0000 0.5000 0.5000 (multiplicity 2)
Ho 0.1994 0.0000 0.6011 (multiplicity 4)
Ho 0.2002 0.5000 0.0995 (multiplicity 4)
Th 0.0000 0.0000 0.0000 (multiplicity 2)
Th 0.0989 0.5000 0.8000 (multiplicity 4)

***

## Y3HoTh4 (GGA-PBE)

Data for Y3HoTh4 after structural relaxation.

Calculated values
The value obtained for the total energy is -52.55 eV per formula unit. The value obtained for the total magnetization is 0.00 μB/cell. As for the mass density: 8.716 g/cm³.

Cell lengths 3.4375, 11.4265, 13.1917 Å; angles 90.00, 90.00, 90.00 degrees
Space group Immm (No. 71)
Inequivalent atoms, fractional coordinates:
Y 0.0000 0.0000 0.0000 (multiplicity 2)
Y 0.0000 0.5000 0.2359 (multiplicity 4)
Ho 0.0000 0.0000 0.5000 (multiplicity 2)
+++

Online tutoring for kids with ADHD

At Engaging Minds we only work one-on-one with students which allows our instructors to tailor a variety of approaches to meet the needs of the individual student. For students who are easily distracted, working in a room away from external stimuli and facing away from the door can help with concentration. Allowing students who have trouble sitting still to have frequent movement breaks and move about the tutoring room while they are thinking or planning leads to a better ability to concentrate when they need to sit down and focus on the task at hand. Developing a relationship with the tutor helps students to feel comfortable in the tutoring session and can help minimize the occurrence of impulsive outbursts. The systematic and organized approach to working with students that is employed at Engaging Minds also provides students with a comforting degree of predictability. While we do work with our students to help them become more adaptable and flexible across a variety of situations, we also help students with ADHD to internalize sequential, prescribed ways of approaching their schoolwork so they can succeed with increasing independence.

Techniques for staying focused with ADHD

********
DFT (PBE) results for a relaxed CsMgH2 crystal.

a b c (Å): 4.203 4.203 4.602
angles (deg): 90.00 90.00 90.00
Fractional coordinates of all 4 atoms:
Cs1 0.500 0.500 0.000
Mg1 0.000 0.000 0.500
H1 0.000 0.500 0.500
H2 0.500 0.000 0.500

DOS at the Fermi energy	1.43	states/eV/cell
symmetry	P4/mmm, No. 123



DFT (PBE) results for a relaxed Pm2CrP crystal.

a b c (Å): 3.760 4.967 4.967
angles (deg): 90.00 90.00 90.00
Each line ends with the local moment (μB).
Fractional coordinates of all 4 atoms:
Cr1 0.500 0.500 0.500  3.60
P1 0.500 0.000 0.000  0.05
Pm1 0.000 0.000 0.500  -0.14
Pm2 0.000 0.500 0.000  -0.14

DOS at the Fermi energy	2.71	states/eV/cell
symmetry	P4/mmm, No. 123



DFT (PBE) results for a relaxed TiZn3Br crystal.

a b c (Å): 5.287 5.287 5.287
angles (deg): 90.00 90.00 90.00
Each line ends with the local moment (μB).
Fractional coordinates of all 5 atoms:
Zn1 0.000 0.500 0.000  0.07
Zn2 0.000 0.000 0.500  0.02
Zn3 0.500 0.000 0.000  0.11
Br1 0.500 0.500 0.500  0.03
Ti1 0.000 0.000 0.000  1.76

DOS at the Fermi energy	9.97	states/eV/cell
symmetry	Pm-3m, No. 221



DFT (PBE) results for a relaxed NdPuAsAu crystal.

a b c (Å): 5.173 5.173 5.173
angles (deg): 60.00 60.00 60.00
Each line ends with the local moment (μB).
Fractional coordinates of all 4 atoms:
Nd1 0.250 0.250 0.250  0.39
As1 0.500 0.500 0.500  -0.06
Au1 0.000 0.000 0.000  0.09
Pu1 0.750 0.750 0.750  5.62

DOS at the Fermi energy	10.64	states/eV/cell
symmetry	F-43m, No. 216



DFT (PBE) results for a relaxed ScSiSnHg2 crystal.

a b c (Å): 5.440 5.077 5.440
angles (deg): 90.00 90.00 90.00
Fractional coordinates of all 5 atoms:
Sc1 0.000 0.000 0.000
Si1 0.000 0.500 0.000
Hg1 0.000 0.000 0.500
Hg2 0.500 0.000 0.000
Sn1 0.500 0.500 0.500

DOS at the Fermi energy	3.68	states/eV/cell
symmetry	P4/mmm, No. 123



DFT (PBE) results for a relaxed PaAlFeRe crystal.

a b c (Å): 4.548 4.548 4.548
angles (deg): 60.00 60.00 60.00
Fractional coordinates of all 4 atoms:
Re1 0.000 0.000 0.000
Pa1 0.250 0.250 0.250
Fe1 0.500 0.500 0.500
Al1 0.750 0.750 0.750

DOS at the Fermi energy	2.38	states/eV/cell
symmetry	F-43m, No. 216



DFT (PBE) results for a relaxed Pu2ZnIr3 crystal.

a b c (Å): 4.625 5.363 5.855
angles (deg): 117.26 113.27 90.00
Each line ends with the local moment (μB).
Fractional coordinates of all 6 atoms:
Pu1 0.680 0.180 0.360  4.67
Pu2 0.320 0.820 0.640  4.67
Zn1 0.000 0.500 0.000  0.02
Ir1 0.358 0.358 0.716  -0.36
Ir2 0.000 0.000 0.000  -0.29
Ir3 0.642 0.642 0.284  -0.36

DOS at the Fermi energy	14.62	states/eV/cell
symmetry	Immm, No. 71



DFT (PBE) results for a relaxed SnAsBr crystal.

a b c (Å): 6.281 5.939 6.283
angles (deg): 103.84 86.46 76.21
Fractional coordinates of all 6 atoms:
Sn1 0.297 0.328 0.042
Sn2 0.950 0.830 0.692
Br1 0.998 0.831 0.264
Br2 0.521 0.827 0.735
As1 0.895 0.288 0.900
As2 0.158 0.372 0.639

symmetry	P1, No. 1
********

Many of the same techniques we use during sessions at Engaging Minds can also be employed at home and in school. Students with ADHD often benefit from a work environment with limited distractions. At home, parents can try to set up a specific quiet work space that is free of clutter and external distractions such as electronics, television, or music. Students may also be able to attend to tasks more effectively if they have frequent breaks. Parents can allow scheduled breaks for non-distracting, movement-based activities, such as taking short walks or shooting baskets for ten minutes. Students with ADHD also usually work best within a familiar and consistent schedule. Having a specific time set aside to do work, after dinner each night for example, can help students to know what exactly is expected of them and when they need to maintain focus.

Learning beyond online tutoring

The skills and organizational techniques students learn at Engaging Minds can help students with ADHD stay focused and succeed in spite of their difficulties. Individuals with ADHD struggle with executive functioning in all aspects of their lives, not merely with academics. What students learn at Engaging Minds extends beyond the tutoring session and the classroom, and can help students to thrive in their day-to-day lives.